Input
-- begin --
# 1
# TiBH2 | the Alexandria database | SCAN | single point on PBEsol structure
data_TiBH2
_chemical_formula_sum 'Ti4 B4 H8'
_cell_length_a 3.216
_cell_length_b 3.216
_cell_length_c 10.675
_cell_angle_alpha 90.00
_cell_angle_beta 90.00
_cell_angle_gamma 90.00
_symmetry_space_group_name_H-M 'I -4 2 d'
_symmetry_Int_Tables_number 122
_symmetry_space_group_name_Hall 'I -4 2bw'
loop_
_atom_site_label
_atom_site_type_symbol
_atom_site_fract_x
_atom_site_fract_y
_atom_site_fract_z
Ti1 Ti 0.000 0.000 0.000
B1 B 0.000 0.000 0.500
H1 H 0.128 0.250 0.625
# M_tot in Bohr magnetons per cell: 0.00
# Crystal system: tetragonal
# Raw total energy in eV/atom: -7.405



# 2
# MgScIn2 | the Alexandria database | SCAN | single point on PBEsol structure
data_MgScIn2
_chemical_formula_sum 'Mg4 Sc4 In8'
_cell_length_a 7.136
_cell_length_b 7.136
_cell_length_c 7.136
_cell_angle_alpha 90.00
_cell_angle_beta 90.00
_cell_angle_gamma 90.00
_symmetry_space_group_name_H-M 'F -4 3 m'
_symmetry_Int_Tables_number 216
_symmetry_space_group_name_Hall 'F -4 2 3'
loop_
_atom_site_label
_atom_site_type_symbol
_atom_site_fract_x
_atom_site_fract_y
_atom_site_fract_z
Mg1 Mg 0.000 0.000 0.000
Sc1 Sc 0.250 0.250 0.250
In1 In 0.000 0.000 0.500
In2 In 0.250 0.250 0.750
# M_tot in Bohr magnetons per cell: 0.00
# Crystal system: cubic
# Formation energy from the elements in kJ/mol of atoms: -10.7



# 3
# PrSiIr | the Alexandria database | SCAN | single point on PBEsol structure
data_PrSiIr
_chemical_formula_sum 'Pr4 Si4 Ir4'
_cell_length_a 6.315
_cell_length_b 6.315
_cell_length_c 6.315
_cell_angle_alpha 90.00
_cell_angle_beta 90.00
_cell_angle_gamma 90.00
_symmetry_space_group_name_H-M 'P 21 3'
_symmetry_Int_Tables_number 198
_symmetry_space_group_name_Hall 'P 2ac 2ab 3'
loop_
_atom_site_label
_atom_site_type_symbol
_atom_site_fract_x
_atom_site_fract_y
_atom_site_fract_z
Pr1 Pr 0.125 0.125 0.125
Si1 Si 0.163 0.337 0.663
Ir1 Ir 0.069 0.569 0.931
# M_tot in Bohr magnetons per cell: 0.00
# Formation energy without anion corrections in eV/atom: -1.10
# Crystal system: cubic



# 4
# CaMgTc | the Alexandria database | SCAN | single point on PBEsol structure
data_CaMgTc
_chemical_formula_sum 'Ca4 Mg4 Tc4'
_cell_length_a 6.615
_cell_length_b 6.615
_cell_length_c 6.615
_cell_angle_alpha 90.00
_cell_angle_beta 90.00
_cell_angle_gamma 90.00
_symmetry_space_group_name_H-M 'F -4 3 m'
_symmetry_Int_Tables_number 216
_symmetry_space_group_name_Hall 'F -4 2 3'
loop_
_atom_site_label
_atom_site_type_symbol
_atom_site_fract_x
_atom_site_fract_y
_atom_site_fract_z
Ca1 Ca 0.000 0.000 0.000
Mg1 Mg 0.250 0.250 0.250
Tc1 Tc 0.000 0.000 0.500
# M_tot in Bohr magnetons per cell: 8.98
# Crystal system: cubic
# Formation energy from the elements in kJ/mol of atoms: 103.0
# Energy above the lowest structure with this stoichiometry in meV per atom: 616



# 5
# HfGaCo | the Alexandria database | SCAN | single point on PBEsol structure
data_HfGaCo
_chemical_formula_sum 'Hf3 Ga3 Co3'
_cell_length_a 6.8014
_cell_length_b 6.8014
_cell_length_c 3.2918
_cell_angle_alpha 90.00
_cell_angle_beta 90.00
_cell_angle_gamma 120.00
_symmetry_space_group_name_H-M 'P -6 2 m'
_symmetry_Int_Tables_number 189
_symmetry_space_group_name_Hall 'P -6 -2'
loop_
_atom_site_label
_atom_site_type_symbol
_atom_site_fract_x
_atom_site_fract_y
_atom_site_fract_z
Hf1 Hf 0.0000 0.4033 0.0000
Ga1 Ga 0.0000 0.7377 0.5000
Co1 Co 0.0000 0.0000 0.0000
Co2 Co 0.3333 0.6667 0.5000
# M_tot in Bohr magnetons per cell: 0.00
# Crystal system: hexagonal
# Formation energy from the elements in kJ/mol of atoms: -54.0



# 6
# CaCuTc2 | the Alexandria database | SCAN | single point on PBEsol structure
data_CaCuTc2
_chemical_formula_sum 'Ca2 Cu2 Tc4'
_cell_length_a 2.753
_cell_length_b 4.486
_cell_length_c 10.232
_cell_angle_alpha 90.00
_cell_angle_beta 90.00
_cell_angle_gamma 90.00
_symmetry_space_group_name_H-M 'I m m m'
_symmetry_Int_Tables_number 71
_symmetry_space_group_name_Hall '-I 2 2'
loop_
_atom_site_label
_atom_site_type_symbol
-- stop --

What to do
Your job: reproduce all of the block earlier on character by character.

Outcome
# 1
# TiBH2 | the Alexandria database | SCAN | single point on PBEsol structure
data_TiBH2
_chemical_formula_sum 'Ti4 B4 H8'
_cell_length_a 3.216
_cell_length_b 3.216
_cell_length_c 10.675
_cell_angle_alpha 90.00
_cell_angle_beta 90.00
_cell_angle_gamma 90.00
_symmetry_space_group_name_H-M 'I -4 2 d'
_symmetry_Int_Tables_number 122
_symmetry_space_group_name_Hall 'I -4 2bw'
loop_
_atom_site_label
_atom_site_type_symbol
_atom_site_fract_x
_atom_site_fract_y
_atom_site_fract_z
Ti1 Ti 0.000 0.000 0.000
B1 B 0.000 0.000 0.500
H1 H 0.128 0.250 0.625
# M_tot in Bohr magnetons per cell: 0.00
# Crystal system: tetragonal
# Raw total energy in eV/atom: -7.405



# 2
# MgScIn2 | the Alexandria database | SCAN | single point on PBEsol structure
data_MgScIn2
_chemical_formula_sum 'Mg4 Sc4 In8'
_cell_length_a 7.136
_cell_length_b 7.136
_cell_length_c 7.136
_cell_angle_alpha 90.00
_cell_angle_beta 90.00
_cell_angle_gamma 90.00
_symmetry_space_group_name_H-M 'F -4 3 m'
_symmetry_Int_Tables_number 216
_symmetry_space_group_name_Hall 'F -4 2 3'
loop_
_atom_site_label
_atom_site_type_symbol
_atom_site_fract_x
_atom_site_fract_y
_atom_site_fract_z
Mg1 Mg 0.000 0.000 0.000
Sc1 Sc 0.250 0.250 0.250
In1 In 0.000 0.000 0.500
In2 In 0.250 0.250 0.750
# M_tot in Bohr magnetons per cell: 0.00
# Crystal system: cubic
# Formation energy from the elements in kJ/mol of atoms: -10.7



# 3
# PrSiIr | the Alexandria database | SCAN | single point on PBEsol structure
data_PrSiIr
_chemical_formula_sum 'Pr4 Si4 Ir4'
_cell_length_a 6.315
_cell_length_b 6.315
_cell_length_c 6.315
_cell_angle_alpha 90.00
_cell_angle_beta 90.00
_cell_angle_gamma 90.00
_symmetry_space_group_name_H-M 'P 21 3'
_symmetry_Int_Tables_number 198
_symmetry_space_group_name_Hall 'P 2ac 2ab 3'
loop_
_atom_site_label
_atom_site_type_symbol
_atom_site_fract_x
_atom_site_fract_y
_atom_site_fract_z
Pr1 Pr 0.125 0.125 0.125
Si1 Si 0.163 0.337 0.663
Ir1 Ir 0.069 0.569 0.931
# M_tot in Bohr magnetons per cell: 0.00
# Formation energy without anion corrections in eV/atom: -1.10
# Crystal system: cubic



# 4
# CaMgTc | the Alexandria database | SCAN | single point on PBEsol structure
data_CaMgTc
_chemical_formula_sum 'Ca4 Mg4 Tc4'
_cell_length_a 6.615
_cell_length_b 6.615
_cell_length_c 6.615
_cell_angle_alpha 90.00
_cell_angle_beta 90.00
_cell_angle_gamma 90.00
_symmetry_space_group_name_H-M 'F -4 3 m'
_symmetry_Int_Tables_number 216
_symmetry_space_group_name_Hall 'F -4 2 3'
loop_
_atom_site_label
_atom_site_type_symbol
_atom_site_fract_x
_atom_site_fract_y
_atom_site_fract_z
Ca1 Ca 0.000 0.000 0.000
Mg1 Mg 0.250 0.250 0.250
Tc1 Tc 0.000 0.000 0.500
# M_tot in Bohr magnetons per cell: 8.98
# Crystal system: cubic
# Formation energy from the elements in kJ/mol of atoms: 103.0
# Energy above the lowest structure with this stoichiometry in meV per atom: 616



# 5
# HfGaCo | the Alexandria database | SCAN | single point on PBEsol structure
data_HfGaCo
_chemical_formula_sum 'Hf3 Ga3 Co3'
_cell_length_a 6.8014
_cell_length_b 6.8014
_cell_length_c 3.2918
_cell_angle_alpha 90.00
_cell_angle_beta 90.00
_cell_angle_gamma 120.00
_symmetry_space_group_name_H-M 'P -6 2 m'
_symmetry_Int_Tables_number 189
_symmetry_space_group_name_Hall 'P -6 -2'
loop_
_atom_site_label
_atom_site_type_symbol
_atom_site_fract_x
_atom_site_fract_y
_atom_site_fract_z
Hf1 Hf 0.0000 0.4033 0.0000
Ga1 Ga 0.0000 0.7377 0.5000
Co1 Co 0.0000 0.0000 0.0000
Co2 Co 0.3333 0.6667 0.5000
# M_tot in Bohr magnetons per cell: 0.00
# Crystal system: hexagonal
# Formation energy from the elements in kJ/mol of atoms: -54.0



# 6
# CaCuTc2 | the Alexandria database | SCAN | single point on PBEsol structure
data_CaCuTc2
_chemical_formula_sum 'Ca2 Cu2 Tc4'
_cell_length_a 2.753
_cell_length_b 4.486
_cell_length_c 10.232
_cell_angle_alpha 90.00
_cell_angle_beta 90.00
_cell_angle_gamma 90.00
_symmetry_space_group_name_H-M 'I m m m'
_symmetry_Int_Tables_number 71
_symmetry_space_group_name_Hall '-I 2 2'
loop_
_atom_site_label
_atom_site_type_symbol